Material =
____________
Entry 1:
DFT (SCAN) results for a crystal of CuSnSb2Te relaxed with PBEsol.

```
5
Lattice="5.535 0.000 0.000 0.000 5.535 0.000 0.000 0.000 5.599" Properties=species:S:1:pos:R:3 pbc="T T T"
Sb 0.000 2.768 0.000
Sb 2.768 0.000 0.000
Te 0.000 0.000 2.799
Sn 0.000 0.000 0.000
Cu 2.768 2.768 2.799
```

Summary:
Energy relative to the elements, uncorrected, eV per atom: 1.203
Space-group type: P4/mmm
Calculated volume, Å³ per cell: 171.54
ρ, g cm⁻³: 5.36
Magnetization, Bohr magnetons per cell: 0.00


Entry 2:
DFT (SCAN) results for a crystal of AlZnAu2 relaxed with PBEsol.

```
4
Lattice="3.466 0.000 0.000 0.000 3.466 0.000 0.000 0.000 5.323" Properties=species:S:1:pos:R:3 pbc="T T T"
Zn 0.000 0.000 2.539
Au 0.000 0.000 5.145
Au 1.733 1.733 1.516
Al 1.733 1.733 4.107
```

Summary:
Space-group type: P4mm
Calculated volume, Å³ per cell: 63.95
ρ, g cm⁻³: 12.63
Magnetization, Bohr magnetons per cell: 0.00
DFT formation energy, eV/atom: -0.444


Entry 3:
DFT (SCAN) results for a crystal of BaGaIrAu2 relaxed with PBEsol.

```
5
Lattice="4.791 0.000 0.000 0.000 4.900 0.000 0.000 0.000 4.900" Properties=species:S:1:pos:R:3 pbc="T T T"
Ir 2.396 0.000 0.000
Au 0.000 0.000 2.450
Au 0.000 2.450 0.000
Ba 2.396 2.450 2.450
Ga 0.000 0.000 0.000
```

Summary:
Space-group type: P4/mmm
Calculated volume, Å³ per cell: 115.03
ρ, g cm⁻³: 11.45
Magnetization, Bohr magnetons per cell: 0.73
DFT formation energy, eV/atom: -0.097


Entry 4:
DFT (SCAN) results for a crystal of ScAl2Os relaxed with PBEsol.

```
4
Lattice="-0.471 -0.769 3.014 3.401 -3.070 -0.252 1.426 5.020 -0.138" Properties=species:S:1:pos:R:3 pbc="T T T"
Sc 1.700 -1.535 -0.126
Os -0.235 -0.384 1.507
Al 3.025 -0.247 2.051
Al 1.331 1.428 0.572
```

Summary:
Space-group type: Immm
Calculated volume, Å³ per cell: 63.76
ρ, g cm⁻³: 7.53
Magnetization, Bohr magnetons per cell: 0.00
DFT formation energy, eV/atom: -0.445


Entry 5:
DFT (SCAN) results for a crystal of MgSn2Pb2 relaxed with PBEsol.

```
10
Lattice="4.895 0.000 0.000 0.000 7.607 0.000 0.000 0.000 7.607" Properties=species:S:1:pos:R:3 pbc="T T T"
Pb 2.448 1.354 5.157
Pb 2.448 5.157 6.254
Pb 2.448 6.254 2.450
Pb 2.448 2.450 1.354
Mg 0.000 0.000 0.000
Mg 0.000 3.804 3.804
Sn 0.000 2.785 6.589
Sn 0.000 6.589 4.822
Sn 0.000 4.822 1.018
Sn 0.000 1.018 2.785
```

Summary:
Energy above the lowest structure with this stoichiometry, meV per atom: 0.0
Space-group type: P4/mbm
Calculated volume, Å³ per cell: 283.28
ρ, g cm⁻³: 7.93
Magnetization, Bohr magnetons per cell: 0.00
DFT formation energy, eV/atom: 0.050


Entry 6:
DFT (SCAN) results for a crystal of K2CeAgCl6 relaxed with PBEsol.

```
10
Lattice="-4.919 -5.642 -0.933 1.714 -5.789 -4.522 1.445 -6.790 2.949" Properties=species:S:1:pos:R:3 pbc="T T T"
K -1.319 -13.665 -1.880
K -0.440 -4.555 -0.627
Ce -0.880 -9.110 -1.253
Ag 0.000 0.000 0.000
Cl -2.920 -7.358 -1.092
Cl -2.054 -10.283 -3.376
Cl 1.161 -10.863 -1.415
Cl -2.190 -10.789 0.399
Cl 0.431 -7.432 -2.905
Cl 0.295 -7.938 0.870
```

Summary:
Energy relative to the elements, uncorrected, eV per atom: -1.948
Space-group type: Fm-3m
Calculated volume, Å³ per cell: 303.45
ρ, g cm⁻³: 2.95
Magnetization, Bohr magnetons per cell: 1.00


Entry 7:
DFT (SCAN) results for a crystal of SrCaP relaxed with PBEsol.

```
3
Lattice="4.271 0.000 0.000 -2.136 3.699 0.000 0.000 0.000 7.097" Properties=species:S:1:pos:R:3 pbc="T T T"
Sr 0.000 2.466 3.179
Ca 0.000 0.000 6.192
P 2.136 1.233 4.822
```

Summary:
Space-group type: P3m1
Calculated volume, Å³ per cell: 112.11
ρ, g cm⁻³: 2.35
Magnetization, Bohr magnetons per cell: 0.15
DFT formation energy, eV/atom: -0.974


Entry 8:
DFT (SCAN) results for a crystal of YSbP2 relaxed with PBEsol.

```
4
Lattice="-4.263 2.379 -0.487 -3.277 -1.495 -3.331 -4.176 -2.127 1.450" Properties=species:S:1:pos:R:3 pbc="T T T"
P 0.000 0.000 0.000
P -2.929 -0.311 -0.592
Sb -5.858 -0.622 -1.184
Y -8.787 -0.933 -1.776
```

Summary:
Energy relative to the elements, uncorrected, eV per atom: 0.110
Space-group type: F-43m
____________

Wanted =
Now set down everything further above character by character.

Reply =
Entry 1:
DFT (SCAN) results for a crystal of CuSnSb2Te relaxed with PBEsol.

```
5
Lattice="5.535 0.000 0.000 0.000 5.535 0.000 0.000 0.000 5.599" Properties=species:S:1:pos:R:3 pbc="T T T"
Sb 0.000 2.768 0.000
Sb 2.768 0.000 0.000
Te 0.000 0.000 2.799
Sn 0.000 0.000 0.000
Cu 2.768 2.768 2.799
```

Summary:
Energy relative to the elements, uncorrected, eV per atom: 1.203
Space-group type: P4/mmm
Calculated volume, Å³ per cell: 171.54
ρ, g cm⁻³: 5.36
Magnetization, Bohr magnetons per cell: 0.00


Entry 2:
DFT (SCAN) results for a crystal of AlZnAu2 relaxed with PBEsol.

```
4
Lattice="3.466 0.000 0.000 0.000 3.466 0.000 0.000 0.000 5.323" Properties=species:S:1:pos:R:3 pbc="T T T"
Zn 0.000 0.000 2.539
Au 0.000 0.000 5.145
Au 1.733 1.733 1.516
Al 1.733 1.733 4.107
```

Summary:
Space-group type: P4mm
Calculated volume, Å³ per cell: 63.95
ρ, g cm⁻³: 12.63
Magnetization, Bohr magnetons per cell: 0.00
DFT formation energy, eV/atom: -0.444


Entry 3:
DFT (SCAN) results for a crystal of BaGaIrAu2 relaxed with PBEsol.

```
5
Lattice="4.791 0.000 0.000 0.000 4.900 0.000 0.000 0.000 4.900" Properties=species:S:1:pos:R:3 pbc="T T T"
Ir 2.396 0.000 0.000
Au 0.000 0.000 2.450
Au 0.000 2.450 0.000
Ba 2.396 2.450 2.450
Ga 0.000 0.000 0.000
```

Summary:
Space-group type: P4/mmm
Calculated volume, Å³ per cell: 115.03
ρ, g cm⁻³: 11.45
Magnetization, Bohr magnetons per cell: 0.73
DFT formation energy, eV/atom: -0.097


Entry 4:
DFT (SCAN) results for a crystal of ScAl2Os relaxed with PBEsol.

```
4
Lattice="-0.471 -0.769 3.014 3.401 -3.070 -0.252 1.426 5.020 -0.138" Properties=species:S:1:pos:R:3 pbc="T T T"
Sc 1.700 -1.535 -0.126
Os -0.235 -0.384 1.507
Al 3.025 -0.247 2.051
Al 1.331 1.428 0.572
```

Summary:
Space-group type: Immm
Calculated volume, Å³ per cell: 63.76
ρ, g cm⁻³: 7.53
Magnetization, Bohr magnetons per cell: 0.00
DFT formation energy, eV/atom: -0.445


Entry 5:
DFT (SCAN) results for a crystal of MgSn2Pb2 relaxed with PBEsol.

```
10
Lattice="4.895 0.000 0.000 0.000 7.607 0.000 0.000 0.000 7.607" Properties=species:S:1:pos:R:3 pbc="T T T"
Pb 2.448 1.354 5.157
Pb 2.448 5.157 6.254
Pb 2.448 6.254 2.450
Pb 2.448 2.450 1.354
Mg 0.000 0.000 0.000
Mg 0.000 3.804 3.804
Sn 0.000 2.785 6.589
Sn 0.000 6.589 4.822
Sn 0.000 4.822 1.018
Sn 0.000 1.018 2.785
```

Summary:
Energy above the lowest structure with this stoichiometry, meV per atom: 0.0
Space-group type: P4/mbm
Calculated volume, Å³ per cell: 283.28
ρ, g cm⁻³: 7.93
Magnetization, Bohr magnetons per cell: 0.00
DFT formation energy, eV/atom: 0.050


Entry 6:
DFT (SCAN) results for a crystal of K2CeAgCl6 relaxed with PBEsol.

```
10
Lattice="-4.919 -5.642 -0.933 1.714 -5.789 -4.522 1.445 -6.790 2.949" Properties=species:S:1:pos:R:3 pbc="T T T"
K -1.319 -13.665 -1.880
K -0.440 -4.555 -0.627
Ce -0.880 -9.110 -1.253
Ag 0.000 0.000 0.000
Cl -2.920 -7.358 -1.092
Cl -2.054 -10.283 -3.376
Cl 1.161 -10.863 -1.415
Cl -2.190 -10.789 0.399
Cl 0.431 -7.432 -2.905
Cl 0.295 -7.938 0.870
```

Summary:
Energy relative to the elements, uncorrected, eV per atom: -1.948
Space-group type: Fm-3m
Calculated volume, Å³ per cell: 303.45
ρ, g cm⁻³: 2.95
Magnetization, Bohr magnetons per cell: 1.00


Entry 7:
DFT (SCAN) results for a crystal of SrCaP relaxed with PBEsol.

```
3
Lattice="4.271 0.000 0.000 -2.136 3.699 0.000 0.000 0.000 7.097" Properties=species:S:1:pos:R:3 pbc="T T T"
Sr 0.000 2.466 3.179
Ca 0.000 0.000 6.192
P 2.136 1.233 4.822
```

Summary:
Space-group type: P3m1
Calculated volume, Å³ per cell: 112.11
ρ, g cm⁻³: 2.35
Magnetization, Bohr magnetons per cell: 0.15
DFT formation energy, eV/atom: -0.974


Entry 8:
DFT (SCAN) results for a crystal of YSbP2 relaxed with PBEsol.

```
4
Lattice="-4.263 2.379 -0.487 -3.277 -1.495 -3.331 -4.176 -2.127 1.450" Properties=species:S:1:pos:R:3 pbc="T T T"
P 0.000 0.000 0.000
P -2.929 -0.311 -0.592
Sb -5.858 -0.622 -1.184
Y -8.787 -0.933 -1.776
```

Summary:
Energy relative to the elements, uncorrected, eV per atom: 0.110
Space-group type: F-43m